Work order
Quote every line further below that contains the word "E_F".
Entries
~~~
# Li4Cd3Bi

Li4Cd3Bi after structural relaxation (PBE, the Alexandria database).

POSCAR file:
```
Li4Cd3Bi
1.0
6.9729 -2.4735 0.0000
6.9729 2.4735 0.0000
-1.7425 0.0000 4.6297
Li Cd Bi
4 3 1
Direct
0.1259 0.1259 0.1261 Li
0.3740 0.3740 0.3730 Li
0.6260 0.6260 0.6270 Li
0.8741 0.8741 0.8739 Li
0.0000 0.0000 0.5000 Cd
0.2443 0.2443 0.7438 Cd
0.7557 0.7557 0.2562 Cd
0.5000 0.5000 0.0000 Bi
```

Results
SG   C2/m, No. 12
N(E_F)   3.3 states/eV per cell
Energy of formation from the pure elements   -0.299 eV/atom


# YSc2Zn

YSc2Zn after structural relaxation (PBE, the Alexandria database).

POSCAR file:
```
YSc2Zn
1.0
0.0000 3.5998 3.5998
3.5998 0.0000 3.5998
3.5998 3.5998 0.0000
Y Sc Zn
1 2 1
Direct
0.0000 0.0000 0.0000 Y
0.5000 0.5000 0.5000 Sc
0.7500 0.7500 0.7500 Sc
0.2500 0.2500 0.2500 Zn
```

Results
SG   F-43m, No. 216
N(E_F)   5.4 states/eV per cell
Energy of formation from the pure elements   0.004 eV/atom


# AcScGa3

AcScGa3 after structural relaxation (PBE, the Alexandria database).

POSCAR file:
```
AcScGa3
1.0
2.2096 -12.7744 0.0000
2.2096 12.7744 0.0000
0.0000 0.0000 4.2541
Ac Sc Ga
2 2 6
Direct
0.0782 0.9218 0.7500 Ac
0.9218 0.0782 0.2500 Ac
0.2047 0.7953 0.2500 Sc
0.7953 0.2047 0.7500 Sc
0.3145 0.6855 0.2500 Ga
0.3715 0.6285 0.7500 Ga
0.4746 0.5254 0.7500 Ga
0.5254 0.4746 0.2500 Ga
0.6285 0.3715 0.2500 Ga
0.6855 0.3145 0.7500 Ga
```

Results
SG   Cmcm, No. 63
N(E_F)   6.4 states/eV per cell
Energy of formation from the pure elements   -0.563 eV/atom


# OsCN2

OsCN2 after structural relaxation (PBE, the Alexandria database).

POSCAR file:
```
OsCN2
1.0
1.4509 0.8377 5.2820
-1.4509 0.8377 5.2820
0.0000 -1.6753 5.2820
Os C N
1 1 2
Direct
0.0000 0.0000 0.0000 Os
0.5000 0.5000 0.5000 C
0.4208 0.4208 0.4208 N
0.5792 0.5792 0.5792 N
```

Results
SG   R-3m, No. 166
N(E_F)   1.6 states/eV per cell
Formation energy from raw total energies   0.8343 eV/atom


Number 1: magnetic moment 0.000 μB per atom. Number 2: magnetic moment 0.144 μB per atom. Number 3: magnetic moment 0.000 μB per atom. Number 4: magnetic moment 0.000 μB per atom.
~~~
Written answer
N(E_F)   3.3 states/eV per cell
N(E_F)   5.4 states/eV per cell
N(E_F)   6.4 states/eV per cell
N(E_F)   1.6 states/eV per cell